Case Law Analysis: Denial of Relief from Sanctions Reinforces Importance of Procedural Compliance

Citation: [2024] EWHC 130 (Ch)
Judgment on


The matter of Derina Tetla Phipps v Bruce Constantine Goulbourne, adjudicated in the High Court of Justice Business and Property Courts of England and Wales, centered on an application for relief from sanctions with respect to a probate claim. Throughout the case, various legal principles were invoked, most notably those pertaining to CPR r. 3.9 and service of process. This article dissects the case law provided, analyzed through the lens of these underlying legal principles.

Key Facts

The estate in question belonged to Tetla Yvonne Goulbourne, who passed away in 2020. The claimant, Derina Tetla Phipps, her daughter, sought to probate a will, a copy of which was unearthed in the deceased’s emails. The defendant, Bruce Constantine Goulbourne, the late Yvonne Goulbourne’s widower, contested the validity of this will.

Upon receiving an unless order, which mandated the claimant to issue and serve a probate action, the claimant solicitors mistakenly believed that the court would serve the documents. This misconception resulted in a failure to serve the probate claim within the prescribed period, thereby triggering the application for relief from sanctions.

The Civil Procedure Rules (CPR), specifically CPR r. 3.9, are at the heart of this case. The rule deals with relief from sanctions and enumerates factors the court must consider to deal justly with such applications, including efficient litigation conduct and enforcing compliance with rules, practice directions, and orders. The Denton v TH White Ltd criteria, as enunciated in [2014] EWCA Civ 906, provided the guiding framework for the court’s analysis. The three-stage test in Denton:

  1. Evaluate the severity of the breach.
  2. Examine whether there was a good reason for the breach.
  3. Assess all circumstances of the case.

Service of process is another fundamental principle in question here. The manner in which claimants must serve documents, as required by the Practice Direction 51O-The Electronic Working Pilot Scheme and CPR r. 7.5, was misinterpreted by the solicitors representing the claimant. This misinterpretation underpins the procedural irregularity leading to the default.

The Bright-Line Rule indicated in Barton v Wright [2018] UKSC 12 underscores the importance of formal procedural adherence in determining the validity of served documents.

Oak Cash & Carry Limited v British Gas Trading Limited [2016] EWCA Civ 153 was another influential authority which helped to appraise the seriousness of failing to comply with an unless order, addressing the issue of multiple breaches and their consequences.


The claimant failed on all three stages of the Denton test. MASTER TEVERSON found the breach serious and significant, citing a lack of diligent action to remedy non-compliance, a matter which was inadequately addressed by the claimant’s legal representatives. The claimant did not provide a ‘good reason’ justifying the default, primarily due to a misunderstanding surrounding the responsibility for service.

The decision to deny relief was predicated on the pivotal importance of enforcing compliance with rules and the significant lapse in action following the issue of an unless order. Furthermore, MASTER TEVERSON concluded that providing relief would not be just, given the Claimant’s failure to expeditiously seek the same and would undermine the integrity of the unless order and the procedural rules in general.

Here the article breaks off for records of crystals >
........
Entry from the Alexandria database: MnPd2Se4 after structural relaxation (PBE).

Energy relative to the elements, uncorrected = -0.321 eV/atom
N(E_F) = 0.63 states/eV/atom

POSCAR file:
```
MnPd2Se4
1.0
-0.016 3.453 1.570
-5.375 -1.563 3.386
5.936 -2.755 1.536
Se Mn Pd
4 1 2
Cartesian
3.430 0.565 3.374
-2.884 -1.430 3.117
-0.015 1.012 2.358
0.561 -1.876 4.134
0.000 0.000 0.000
-1.305 0.048 4.464
1.851 -0.913 2.027
```

***

Entry from the Alexandria database: MnSnPd2Se after structural relaxation (PBE).

Energy relative to the elements, uncorrected = 0.223 eV/atom
N(E_F) = 0.31 states/eV/atom

POSCAR file:
```
MnSnPd2Se
1.0
4.878 0.000 0.000
0.000 4.541 0.000
0.000 0.000 4.878
Pd Mn Sn Se
2 1 1 1
Cartesian
0.000 0.000 2.439
2.439 0.000 0.000
0.000 0.000 0.000
2.439 2.270 2.439
0.000 2.270 0.000
```

***

Entry from the Alexandria database: SrMn2PdSe after structural relaxation (PBE).

Energy relative to the elements, uncorrected = 0.107 eV/atom
N(E_F) = 0.69 states/eV/atom

POSCAR file:
```
SrMn2PdSe
1.0
-4.455 1.020 -1.652
0.025 -4.591 -2.903
-1.942 -2.388 3.761
Sr Mn Pd Se
1 2 1 1
Cartesian
-3.186 -2.980 -0.397
-2.227 0.510 -0.826
-0.971 -1.194 1.880
0.000 0.000 0.000
0.013 -2.296 -1.451
```

***

Entry from the Alexandria database: TaMnPdSe2 after structural relaxation (PBE).

Energy relative to the elements, uncorrected = 0.708 eV/atom
N(E_F) = 1.02 states/eV/atom

POSCAR file:
```
TaMnPdSe2
1.0
4.582 0.000 0.000
0.000 4.711 0.000
0.000 0.000 4.582
Pd Ta Mn Se
1 1 1 2
Cartesian
0.000 2.356 0.000
2.291 2.356 2.291
0.000 0.000 0.000
0.000 0.000 2.291
2.291 0.000 0.000
```

***

Entry from the Alexandria database: Mn2Tl3PdSe6 after structural relaxation (PBE).

Energy relative to the elements, uncorrected = -0.372 eV/atom
N(E_F) = 0.62 states/eV/atom

POSCAR file:
```
Mn2Tl3PdSe6
1.0
-2.369 5.021 -3.630
2.639 -5.300 -2.992
-6.814 -3.182 2.016
Se Tl Mn Pd
6 3 2 1
Cartesian
-5.511 -2.686 -0.184
-0.328 -2.382 -1.046
-2.018 1.101 -1.262
-1.033 -0.775 -4.422
-4.526 -4.561 -3.344
-6.216 -1.078 -3.559
-3.272 -1.730 -2.303
-4.944 1.716 -2.516
-1.600 -5.177 -2.090
0.973 -1.867 -3.204
-0.703 1.588 -3.418
0.000 0.000 0.000
```

***

Entry from the Alexandria database: MnTl2PdSe4 after structural relaxation (PBE).

Energy relative to the elements, uncorrected = -0.323 eV/atom
N(E_F) = 0.48 states/eV/atom

POSCAR file:
```
MnTl2PdSe4
1.0
-5.037 -2.572 -0.826
-2.681 -3.054 6.086
-7.845 8.348 2.075
Mn Se Tl Pd
2 8 4 2
Cartesian
-2.518 -1.286 -0.413
-6.522 2.004 3.874
-13.496 2.662 5.943
-4.296 -1.077 1.027
-8.233 2.936 2.657
-7.040 -0.065 4.726
-4.745 1.795 2.434
-11.108 0.780 4.854
-8.652 6.131 2.879
-4.682 -2.270 4.821
-11.054 4.360 4.401
-7.027 -2.923 2.521
-5.832 4.707 1.135
-7.050 1.070 0.115
0.000 0.000 0.000
-9.041 0.719 3.461
```

***

Entry from the Alexandria database: MnZnPdSe2 after structural relaxation (PBE).

Energy relative to the elements, uncorrected = 0.351 eV/atom
N(E_F) = 0.82 states/eV/atom

POSCAR file:
```
MnZnPdSe2
1.0
........


The reasoning in Derina Tetla Phipps v Bruce Constantine Goulbourne reaffirms the criticality of adhering to procedural rules and the implications of seeking relief from sanctions under CPR r. 3.9. The analysis showcases the developmental interplay of case law governing procedural defaults and the courts’ unwavering commitment to efficient litigation conduct. The outcome of the case underscores the onus on legal representatives to effectively manage and execute necessary procedural actions in a timely manner to avoid prejudicing their clients’ interests.